Excerpt:
/*
The following is a quantum chemistry calculation of a cluster of 2 separate species, C2HNOS in total at a distorted geometry, from the Open Molecules 2025 dataset.

As for the total charge: 0. The calculation puts the maximum force at 2.1 eV Å⁻¹. For the HOMO energy, the calculation gives -9.7428 eV. The value obtained for the energy relative to the best compared isomer or geometry (same formula, charge and spin) is 0.413 eV. The HOMO-LUMO gap comes out at 10.7 eV.

Geometry as XYZ:
```
6
Properties=species:S:1:pos:R:3:lowdin_charge:R:1
C 0.17 -0.84 -0.55 -0.942
C -0.83 1.12 1.43 -0.033
N 1.11 -0.11 -0.52 0.148
O -1.35 1.52 0.54 0.033
S -1.07 -1.72 -0.79 0.727
H 1.97 0.03 -0.10 0.067
```


The following is a quantum chemistry calculation of a structure of composition C2HO2Pm at a distorted geometry, from the Open Molecules 2025 dataset.

Its spin multiplicity is 6. As for the total charge: +3. The calculation puts the maximum force at 2.7 eV Å⁻¹. For the HOMO energy (spin up / spin down), the calculation gives -23.6295 / -28.2616 eV. The HOMO-LUMO gap (spin up / spin down) comes out at 4.7 / 11.2 eV.

Geometry as XYZ:
```
6
Properties=species:S:1:pos:R:3:lowdin_charge:R:1
O 1.53 -0.27 -0.26 0.002
O -1.15 -0.60 -0.30 0.036
C 1.20 -1.42 -0.43 0.106
C -0.56 -1.61 -0.46 0.277
H 1.87 -2.26 -0.67 0.213
Pm -0.01 1.60 0.03 2.364
```


The following is a quantum chemistry calculation of a structure of composition C2HO2V at a distorted geometry, from the Open Molecules 2025 dataset.

Its spin multiplicity is 4. As for the total charge: +1. The calculation puts the maximum force at 4.0 eV Å⁻¹. For the HOMO energy (spin up / spin down), the calculation gives -14.7741 / -14.0013 eV. The value obtained for the energy relative to the best compared isomer or geometry (same formula, charge and spin) is 6.599 eV. The HOMO-LUMO gap (spin up / spin down) comes out at 7.1 / 7.2 eV.

Geometry as XYZ:
```
6
Properties=species:S:1:pos:R:3:lowdin_charge:R:1
H -1.50 -0.51 -1.78 0.068
C -1.17 0.04 -0.91 0.079
C -1.07 0.62 0.18 -0.212
O 1.92 -1.00 0.83 -0.037
O 1.55 -0.09 0.08 -0.198
V 0.27 0.95 1.59 1.298
```


- What is the formula in the third record?
  C2HO2V

* * * * *

Entry 1:
DFT (wB97M-V/def2-TZVPD) results for a cluster of 2 separate species, C5H14 in total at a distorted geometry.

* largest force on an atom: 0.034 hartree/bohr
* HOMO energy: -11.289 eV
* frontier orbital gap: 12.42 eV
* calculated total energy: -5411.6465 eV
* E_LUMO: 1.128 eV

CARTESIAN COORDINATES (ANGSTROEM)
C1 -0.184154 -0.950621 -1.001818
C2 0.674909 -1.984599 -0.257615
C3 0.680377 2.209663 2.276457
C4 -0.923166 -1.598914 -2.198493
C5 -0.293320 2.210812 1.083905
H1 -1.017242 -0.680751 -0.348061
H2 0.333510 -0.037859 -1.275933
H3 1.050033 3.201412 2.515511
H4 1.509952 1.517448 2.148359
H5 -0.699385 3.206419 0.938610
H6 0.132891 1.854401 3.147064
H7 1.623692 -2.136048 -0.761862
H8 0.134489 -2.931216 -0.283200
H9 -1.932658 -1.938425 -2.003325
H10 -0.949920 -0.913633 -3.042043
H11 -0.359064 -2.466414 -2.555741
H12 0.319345 1.999479 0.198139
H13 -1.093486 1.480940 1.040958
H14 0.806248 -1.694443 0.779852

Atoms 1-2, force components in eV/Å:
C -1.438 -0.977 0.214
C -0.559 0.403 -0.390


Entry 2:
DFT (wB97M-V/def2-TZVPD) results for a cluster of 5 separate species, C14H28N10O7 in total at a distorted geometry.

* largest force on an atom: 0.138 hartree/bohr
* HOMO energy: -8.794 eV
* frontier orbital gap: 8.60 eV
* calculated total energy: -44207.6744 eV
* E_LUMO: -0.199 eV

CARTESIAN COORDINATES (ANGSTROEM)
O1 1.687049 -2.477802 -0.927434
O2 -0.025625 4.212978 5.359176
O3 -1.124202 -0.328429 2.180225
O4 4.432877 2.991556 3.608634
O5 -3.790198 -6.638153 -2.747753
O6 -2.854958 -2.991867 -2.046536
O7 -3.285924 -0.833261 -2.072527
N1 -1.230629 1.936909 2.152933
N2 1.641464 0.160425 -2.576586
N3 1.849032 2.949769 5.302170
N4 3.605811 3.843519 1.680900
N5 -0.818002 0.825655 4.105872
N6 -5.807056 -6.527941 -3.780911
N7 5.295163 2.293414 1.634502
N8 -4.579786 -4.623671 -3.415740
*/
Activity:
What is needed: count the lines above that contain the word "DFT" and give the number alone.
Written answer:
2